[Input]
~~~
Record 1
A relaxed La2ErTl3Se6 crystal. Source: Alexandria via LeMat-Bulk, functional GGA-PBE.

Geometry as CIF:
```
data_La2ErTl3Se6
_chemical_formula_sum 'La4 Er2 Tl6 Se12'
_symmetry_space_group_name_H-M 'C 1 2/m 1'
_symmetry_Int_Tables_number 12
_symmetry_space_group_name_Hall '-C 2y'
_cell_length_a 7.513
_cell_length_b 13.001
_cell_length_c 8.116
_cell_angle_alpha 90.00
_cell_angle_beta 107.96
_cell_angle_gamma 90.00
loop_
_atom_site_label
_atom_site_type_symbol
_atom_site_fract_x
_atom_site_fract_y
_atom_site_fract_z
_atom_site_occupancy
La1 La 0.000 0.167 0.000 1
Er1 Er 0.000 0.500 0.000 1
Tl1 Tl 0.000 0.000 0.500 1
Tl2 Tl 0.000 0.332 0.500 1
Se1 Se 0.229 0.340 0.207 1
Se2 Se 0.249 0.500 0.790 1
```

Properties
DOS(E_F) in states/eV/cell: 0.00
Total magnetization in μB/cell: 0.0
Raw formation energy in meV/atom: -1428

Record 2
A relaxed La3Er2TmSe6 crystal. Source: Alexandria via LeMat-Bulk, functional GGA-PBE.

Geometry as CIF:
```
data_La3Er2TmSe6
_chemical_formula_sum 'La6 Er4 Tm2 Se12'
_symmetry_space_group_name_H-M 'C 1 2/m 1'
_symmetry_Int_Tables_number 12
_symmetry_space_group_name_Hall '-C 2y'
_cell_length_a 7.108
_cell_length_b 12.347
_cell_length_c 7.404
_cell_angle_alpha 90.00
_cell_angle_beta 108.75
_cell_angle_gamma 90.00
loop_
_atom_site_label
_atom_site_type_symbol
_atom_site_fract_x
_atom_site_fract_y
_atom_site_fract_z
_atom_site_occupancy
La1 La 0.000 0.000 0.000 1
La2 La 0.000 0.333 0.000 1
Er1 Er 0.000 0.167 0.500 1
Tm1 Tm 0.000 0.500 0.500 1
Se1 Se 0.241 0.334 0.726 1
Se2 Se 0.244 0.000 0.727 1
```

Properties
DOS(E_F) in states/eV/cell: 11.96
Total magnetization in μB/cell: 0.0
Raw formation energy in meV/atom: -1855
~~~
[Exercise]
Now find the line earlier on that holds "relaxed La3Er2TmSe6", then copy that line and all lines after it there.
[Written answer]
A relaxed La3Er2TmSe6 crystal. Source: Alexandria via LeMat-Bulk, functional GGA-PBE.

Geometry as CIF:
```
data_La3Er2TmSe6
_chemical_formula_sum 'La6 Er4 Tm2 Se12'
_symmetry_space_group_name_H-M 'C 1 2/m 1'
_symmetry_Int_Tables_number 12
_symmetry_space_group_name_Hall '-C 2y'
_cell_length_a 7.108
_cell_length_b 12.347
_cell_length_c 7.404
_cell_angle_alpha 90.00
_cell_angle_beta 108.75
_cell_angle_gamma 90.00
loop_
_atom_site_label
_atom_site_type_symbol
_atom_site_fract_x
_atom_site_fract_y
_atom_site_fract_z
_atom_site_occupancy
La1 La 0.000 0.000 0.000 1
La2 La 0.000 0.333 0.000 1
Er1 Er 0.000 0.167 0.500 1
Tm1 Tm 0.000 0.500 0.500 1
Se1 Se 0.241 0.334 0.726 1
Se2 Se 0.244 0.000 0.727 1
```

Properties
DOS(E_F) in states/eV/cell: 11.96
Total magnetization in μB/cell: 0.0
Raw formation energy in meV/atom: -1855